Contents:
<<<
A structure of composition C32H29BrN5O2Ti in a non-equilibrium geometry, computed with ωB97M-V/def2-TZVPD.

Values from the calculation:
Kohn-Sham gap (spin up / spin down) in hartree: 0.186 / 0.293
E_LUMO (spin up / spin down) in eV: 2.4672 / 2.4585
Net charge: -1
Multiplicity: 3
⟨S²⟩: 2.044

CARTESIAN COORDINATES (ANGSTROEM)
Br (-5.27, 3.65, 3.08)
Ti (-0.09, 0.13, 0.45)
O (2.46, 3.24, 0.96)
O (0.12, -2.97, 3.05)
N (0.88, 0.29, 2.02)
N (-2.00, 0.23, -1.85)
N (-0.80, -0.13, -1.32)
N (-0.16, -1.80, 1.08)
N (1.09, 1.68, -0.04)
C (-2.70, -2.58, -0.21)
C (-2.10, -0.14, -3.16)
C (2.19, 0.60, 4.41)
C (2.19, -3.31, 0.80)
C (0.90, -3.77, 0.19)
C (2.92, 2.12, -3.20)
C (0.48, 2.87, -2.10)
C (0.84, -4.96, -0.51)
C (-1.55, 2.48, 1.63)
C (-1.65, 1.10, 1.40)
C (2.04, 2.89, -3.94)
C (1.37, 2.10, -1.34)
C (3.53, 0.86, -1.11)
C (-3.77, 2.61, 2.47)
C (0.20, -1.94, 2.38)
C (1.47, -0.57, 4.15)
C (-3.90, 1.24, 2.35)
C (-0.26, -2.97, 0.33)
C (0.82, -0.70, 2.93)
C (-1.46, -4.59, -1.01)
C (-0.34, -5.38, -1.10)
C (-2.59, 3.24, 2.14)
C (1.77, 2.22, 0.99)
C (-2.84, 0.51, 1.83)
C (2.28, 1.58, 3.43)
C (-0.13, -0.73, -2.33)
C (0.82, 3.25, -3.39)
C (2.60, 1.71, -1.91)
C (-0.91, -0.76, -3.48)
C (1.63, 1.39, 2.23)
C (-1.44, -3.39, -0.30)
C (-0.84, 3.32, -1.54)
H (2.69, 0.73, 5.35)
H (0.87, -1.10, -2.17)
H (2.30, -2.22, 0.72)
H (2.97, 0.08, -0.57)
H (2.21, -3.57, 1.86)
H (-3.25, -2.63, -1.15)
H (0.14, 3.86, -3.96)
H (-1.24, 2.56, -0.86)
H (-3.34, -2.96, 0.58)
H (-2.38, -4.90, -1.48)
H (2.88, 2.47, 3.58)
H (-2.44, -1.55, 0.01)
H (-2.96, -0.57, 1.77)
H (-0.64, -1.19, -4.42)
H (4.03, 1.48, -0.36)
H (-4.82, 0.75, 2.65)
H (1.73, -5.57, -0.59)
H (3.87, 1.83, -3.62)
H (-0.62, 3.00, 1.41)
H (-2.49, 4.31, 2.27)
H (-1.56, 3.51, -2.34)
H (-2.70, 0.67, -1.27)
H (3.05, -3.78, 0.31)
H (2.30, 3.20, -4.94)
H (-0.72, 4.24, -0.97)
H (-0.37, -6.33, -1.63)
H (-2.97, 0.06, -3.75)
H (4.29, 0.39, -1.74)
H (1.42, -1.37, 4.87)

---

A structure of composition C32H29F6N8O4S2Tm in a non-equilibrium geometry, computed with ωB97M-V/def2-TZVPD.

Values from the calculation:
Kohn-Sham gap in hartree: 0.280
E_LUMO in eV: -6.5089
Net charge: +2
Multiplicity: 3
⟨S²⟩: 2.002

CARTESIAN COORDINATES (ANGSTROEM)
Tm (-0.38, 0.00, -0.15)
S (-1.52, 2.89, -1.67)
S (-3.06, 1.21, -0.25)
F (-1.02, 2.66, -4.21)
F (-2.76, 3.88, -3.74)
F (-5.13, 0.08, 0.77)
F (-2.87, 1.72, -3.61)
F (-5.59, 1.60, -0.70)
F (-4.93, 2.18, 1.28)
O (-0.60, 1.74, -1.53)
O (-0.97, 4.19, -1.51)
O (-2.25, 0.88, 0.94)
O (-2.89, 0.14, -1.22)
N (-1.79, -2.04, 0.25)
N (-2.82, 2.65, -0.79)
N (0.20, 2.37, 1.07)
N (-0.36, -0.93, 2.29)
N (-1.15, -1.85, 2.56)
N (1.29, -1.96, -0.04)
N (2.14, 0.72, -0.31)
N (-0.06, -0.74, -2.64)
C (3.01, -0.28, 0.35)
C (0.95, -3.25, -0.23)
C (-0.04, -0.89, -5.45)
C (-3.39, -3.74, -0.32)
C (-0.55, 4.52, 1.82)
C (2.59, -1.70, 0.16)
C (1.32, 2.95, 0.64)
C (1.29, 0.52, 3.29)
C (-1.23, -1.01, -4.74)
C (1.94, 0.31, 5.59)
C (-2.53, -2.71, -0.64)
C (-2.77, -3.44, 1.95)
C (1.53, 4.32, 0.69)
C (1.09, -0.62, -3.34)
C (-1.18, -0.91, -3.37)
C (1.04, -0.73, 5.74)
C (1.12, -0.69, -4.73)
C (-2.09, 2.78, -3.44)
C (2.39, -0.42, -2.62)
C (-1.92, -2.42, 1.53)
C (2.06, 0.95, 4.36)
C (-0.71, 3.15, 1.67)
C (-3.52, -4.11, 1.01)
C (0.40, -0.53, 3.44)
C (2.47, 2.04, 0.29)
C (0.58, 5.12, 1.28)
C (2.50, 0.84, -1.76)
C (1.85, -4.29, -0.18)
C (3.19, -4.02, 0.08)
C (-4.82, 1.29, 0.32)
C (0.26, -1.16, 4.68)
C (3.56, -2.70, 0.24)
H (-2.42, -2.42, -1.68)
H (3.92, -4.81, 0.13)
H (-1.58, 2.66, 2.06)
H (2.45, 4.74, 0.29)
H (-0.03, -0.95, -6.53)
H (0.93, -1.22, 6.70)
H (2.74, 1.78, 4.24)
H (-2.11, -0.94, -2.82)
H (-0.43, -1.97, 4.80)
H (2.07, -0.59, -5.24)
H (0.72, 6.19, 1.34)
H (4.59, -2.43, 0.40)
H (1.33, 1.04, 2.35)
H (-2.18, -1.15, -5.24)
H (2.98, -0.09, 1.42)
H (-4.19, -4.91, 1.31)
H (1.50, -5.30, -0.34)
H (3.55, 1.16, -1.80)
H (1.90, 1.64, -2.18)
H (2.65, -1.32, -2.07)
H (-1.31, 5.10, 2.32)
H (2.54, 0.64, 6.43)
H (3.00, 1.86, 1.23)
H (-0.08, -3.45, -0.45)
H (-3.94, -4.24, -1.10)
H (4.05, -0.14, 0.03)
H (3.16, -0.34, -3.39)
>>>

To do:
Your job: find "composition C32H29BrN5O2Ti" and "(-3.90, 1.24," in the data further up, and type out these two lines and those between.

Written answer:
A structure of composition C32H29BrN5O2Ti in a non-equilibrium geometry, computed with ωB97M-V/def2-TZVPD.

Values from the calculation:
Kohn-Sham gap (spin up / spin down) in hartree: 0.186 / 0.293
E_LUMO (spin up / spin down) in eV: 2.4672 / 2.4585
Net charge: -1
Multiplicity: 3
⟨S²⟩: 2.044

CARTESIAN COORDINATES (ANGSTROEM)
Br (-5.27, 3.65, 3.08)
Ti (-0.09, 0.13, 0.45)
O (2.46, 3.24, 0.96)
O (0.12, -2.97, 3.05)
N (0.88, 0.29, 2.02)
N (-2.00, 0.23, -1.85)
N (-0.80, -0.13, -1.32)
N (-0.16, -1.80, 1.08)
N (1.09, 1.68, -0.04)
C (-2.70, -2.58, -0.21)
C (-2.10, -0.14, -3.16)
C (2.19, 0.60, 4.41)
C (2.19, -3.31, 0.80)
C (0.90, -3.77, 0.19)
C (2.92, 2.12, -3.20)
C (0.48, 2.87, -2.10)
C (0.84, -4.96, -0.51)
C (-1.55, 2.48, 1.63)
C (-1.65, 1.10, 1.40)
C (2.04, 2.89, -3.94)
C (1.37, 2.10, -1.34)
C (3.53, 0.86, -1.11)
C (-3.77, 2.61, 2.47)
C (0.20, -1.94, 2.38)
C (1.47, -0.57, 4.15)
C (-3.90, 1.24, 2.35)